Count the lines further down that contain the word "fractional" and give the number alone.

____________
No. 1
Starting from the GGA-PBE geometry in the Materials Project, the XRD peak list of Na2Cu2TeO6 was simulated for Cu Kα, 1.54184 Å.
Lines closer than 0.1° are merged.

Peak list (8 most intense, 2θ = 10–90°, low angle first)
| 2theta | I (rel.) |
| --- | --- |
| 16.2 | 100.0 |
| 19.5 | 16.7 |
| 30.6 | 18.1 |
| 32.7 | 16.1 |
| 35.0 | 17.7 |
| 35.6 | 21.5 |
| 35.8 | 33.5 |
| 41.9 | 43.5 |

Atomic structure:
```
Na2Cu2TeO6
1.0
2.9316 -4.3818 0.0000
2.9316 4.3818 0.0000
-2.5459 0.0000 5.4787
Na Cu Te O
2 2 1 6
Direct
0.1843 0.8157 0.0000
0.8157 0.1843 0.0000
0.3349 0.6651 0.5000
0.6651 0.3349 0.5000
0.0000 0.0000 0.5000
0.0247 0.3530 0.7163
0.2432 0.2432 0.3406
0.3530 0.0247 0.7163
0.6470 0.9753 0.2837
0.7568 0.7568 0.6594
0.9753 0.6470 0.2837
```

---

No. 2
Starting from the GGA-PBE geometry in the Materials Project, the XRD peak list of Na2Cu4S3 was simulated for Cu Kα, 1.54184 Å.
Lines closer than 0.1° are merged.

Peak list (8 most intense, 2θ = 10–90°, low angle first)
| 2theta | I (rel.) |
| --- | --- |
| 11.6 | 100.0 |
| 36.4 | 13.3 |
| 37.7 | 25.2 |
| 42.8 | 11.5 |
| 42.9 | 12.3 |
| 46.3 | 15.8 |
| 46.5 | 12.4 |
| 47.6 | 18.1 |

Atomic structure:
```
Na2Cu4S3
1.0
8.0264 -1.9105 0.0000
8.0264 1.9105 0.0000
-3.1888 0.0000 9.7672
Na Cu S
4 8 6
Direct
0.1681 0.1681 0.3417
0.3127 0.3127 0.1569
0.6873 0.6873 0.8431
0.8319 0.8319 0.6583
0.0876 0.0876 0.5879
0.0909 0.0909 0.0078
0.4744 0.4744 0.8667
0.4831 0.4831 0.6174
0.5169 0.5169 0.3826
0.5256 0.5256 0.1333
0.9091 0.9091 0.9922
0.9124 0.9124 0.4121
0.0280 0.0280 0.7718
0.3352 0.3352 0.8861
0.3499 0.3499 0.4542
0.6501 0.6501 0.5458
0.6648 0.6648 0.1139
0.9720 0.9720 0.2282
```

---

No. 3
Starting from the GGA-PBE geometry in the Materials Project, the XRD peak list of NaCu5S3 was simulated for Cu Kα, 1.54184 Å.
Lines closer than 0.1° are merged.

Peak list (8 most intense, 2θ = 10–90°, low angle first)
| 2theta | I (rel.) |
| --- | --- |
| 14.3 | 85.5 |
| 19.2 | 61.8 |
| 28.1 | 41.5 |
| 31.6 | 87.6 |
| 41.4 | 76.8 |
| 45.9 | 41.9 |
| 46.7 | 100.0 |
| 51.4 | 74.0 |

Atomic structure:
```
NaCu5S3
1.0
7.1465 0.0000 0.0000
-3.5732 6.1890 0.0000
0.0000 0.0000 6.9836
Na Cu S
2 10 6
Direct
0.0000 0.0000 0.2500
0.0000 0.0000 0.7500
0.2153 0.4306 0.2500
0.2153 0.7847 0.2500
0.3333 0.6667 0.5517
0.3333 0.6667 0.9483
0.4306 0.2153 0.7500
0.5694 0.7847 0.2500
0.6667 0.3333 0.0517
0.6667 0.3333 0.4483
0.7847 0.2153 0.7500
0.7847 0.5694 0.7500
0.0000 0.3436 0.5000
0.0000 0.6564 0.0000
0.3436 0.0000 0.5000
0.3436 0.3436 0.0000
0.6564 0.0000 0.0000
0.6564 0.6564 0.5000
```

=====

V2CoSnH: simulated powder X-ray diffraction pattern (copper Kα), based on a crystal structure in Alexandria, relaxed with PBE.
No peak broadening, texture or thermal motion is included.

Structural model:
Unit cell a=3.782 b=3.782 c=4.131 alpha=90.00 beta=90.00 gamma=90.00
Atoms (fractional coordinates):
V  0.000  0.500  0.000
V  0.500  0.000  0.000
Co  0.000  0.000  0.500
Sn  0.500  0.500  0.500
H  0.000  0.000  0.000

Most intense lines, 5° ≤ 2θ ≤ 70°, low angle first:
d = 4.131 Å, 2θ = 21.51°, intensity 10, (0 0 1)
d = 3.782 Å, 2θ = 23.52°, intensity 8, (1 0 0)
d = 2.789 Å, 2θ = 32.09°, intensity 8, (1 0 1)
d = 2.674 Å, 2θ = 33.51°, intensity 7, (1 1 0)
d = 2.245 Å, 2θ = 40.17°, intensity 100, (1 1 1)
d = 2.065 Å, 2θ = 43.84°, intensity 20, (0 0 2)
d = 1.891 Å, 2θ = 48.12°, intensity 30, (2 0 0)
d = 1.719 Å, 2θ = 53.28°, intensity 4, (2 0 1)
d = 1.635 Å, 2θ = 56.28°, intensity 4, (1 1 2)
d = 1.395 Å, 2θ = 67.11°, intensity 21, (2 0 2)
____________

1